## What to do
Your job: quote everything further below without additions.
## Listing
'''
1.
A relaxed Sm2Te2F crystal. Source: the Alexandria database, functional PBE.

Lattice parameters (Å, degrees): 17.7139 17.7139 17.7139 166.35 166.35 19.36
With the nearest neighbours (Å) after each atom.
Sites, in units of the cell vectors:
1 Sm 0.0899 0.3399 0.7500  2 F 2.44
2 Sm 0.3399 0.0899 0.2500  2 F 2.44
3 Sm 0.6601 0.9101 0.7500  2 F 2.44
4 Sm 0.9101 0.6601 0.2500  2 F 2.44
5 Te 0.1933 0.4433 0.7500  2 F 3.18, 4 Sm 3.20
6 Te 0.4433 0.1933 0.2500  2 F 3.18, 4 Sm 3.20
7 Te 0.5567 0.8067 0.7500  2 F 3.18, 4 Sm 3.20
8 Te 0.8067 0.5567 0.2500  2 F 3.18, 4 Sm 3.20
9 F 0.1250 0.8750 0.2500  4 Sm 2.44
10 F 0.8750 0.1250 0.7500  4 Sm 2.44

Values from the calculation:
For the total magnetization, the calculation gives 0.0 Bohr magnetons per cell. As for the space group: I4_1/amd (141).

=====

2.
A relaxed Sm2Te2F crystal. Source: the Alexandria database, functional PBE.

Lattice parameters (Å, degrees): 10.5712 10.5712 7.8331 96.48 96.48 24.21
With the nearest neighbours (Å) after each atom.
Sites, in units of the cell vectors:
1 Sm 0.1656 0.1656 0.4115  1 F 2.31
2 Sm 0.3243 0.3243 0.1246  1 F 2.52
3 Sm 0.6757 0.6757 0.8754  1 F 2.52
4 Sm 0.8344 0.8344 0.5885  1 F 2.31
5 Te 0.0879 0.0879 0.7129  3 Sm 3.00-3.05
6 Te 0.3978 0.3978 0.8070  3 Sm 3.01-3.06
7 Te 0.6022 0.6022 0.1930  3 Sm 3.01-3.06
8 Te 0.9121 0.9121 0.2871  3 Sm 3.00-3.05
9 F 0.2772 0.2772 0.4068  2 Sm 2.31-2.52
10 F 0.7228 0.7228 0.5932  2 Sm 2.31-2.52

Values from the calculation:
For the total magnetization, the calculation gives 2.1 Bohr magnetons per cell. As for the space group: C2/m (12).

=====

Most stable structure among those shown: 1.

~~~~~

Entry 1:
DFT (PBE) results for an optimized crystal structure of Be2InCu2.

Cell lengths 6.7848, 6.7848, 2.7801 Å; angles 90.00, 90.00, 90.00 degrees
Element x y z (fractional)
Be 0.1568 0.6568 0.5000
Be 0.6568 0.8432 0.5000
Be 0.8432 0.3432 0.5000
Be 0.3432 0.1568 0.5000
Cu 0.3681 0.8681 0.0000
Cu 0.8681 0.6319 0.0000
Cu 0.6319 0.1319 0.0000
Cu 0.1319 0.3681 0.0000
In 0.0000 0.0000 0.0000
In 0.5000 0.5000 0.0000

For the polymorph energy (0 for the lowest one), the calculation gives 0.049 eV/atom. Its crystal system is tetragonal. The calculation puts the calculated formation energy at 199.9 meV/atom. Its uncorrected energy is -3.477 eV/atom.



Entry 2:
DFT (PBE) results for an optimized crystal structure of Be3InCu.

Cell lengths 4.1448, 4.1448, 4.1448 Å; angles 90.00, 90.00, 90.00 degrees
Element x y z (fractional)
Be 0.0000 0.5000 0.0000
Be 0.0000 0.0000 0.5000
Be 0.5000 0.0000 0.0000
Cu 0.0000 0.0000 0.0000
In 0.5000 0.5000 0.5000

For the polymorph energy (0 for the lowest one), the calculation gives 0.000 eV/atom. Its crystal system is cubic. The calculation puts the calculated formation energy at 564.4 meV/atom. Its uncorrected energy is -3.038 eV/atom.



Entry 3:
DFT (PBE) results for an optimized crystal structure of Be4InCu8.

Cell lengths 4.5975, 6.1405, 6.1405 Å; angles 81.94, 68.02, 68.02 degrees
Element x y z (fractional)
Be 0.0000 0.0000 0.5000
Be 0.5000 0.0000 0.5000
Be 0.0000 0.5000 0.0000
Be 0.5000 0.5000 0.0000
In 0.0000 0.0000 0.0000
Cu 0.0000 0.3476 0.6524
Cu 0.0000 0.6524 0.3476
Cu 0.3476 0.6524 0.6524
Cu 0.6524 0.3476 0.3476
Cu 0.5000 0.7805 0.2195
Cu 0.5000 0.2195 0.7805
Cu 0.2805 0.2195 0.2195
Cu 0.7195 0.7805 0.7805

Its crystal system is tetragonal. The calculation puts the calculated formation energy at -36.3 meV/atom. Its uncorrected energy is -3.914 eV/atom.



Entry 4:
DFT (PBE) results for an optimized crystal structure of BeInCu3.

Cell lengths 4.1582, 4.1582, 4.1582 Å; angles 90.00, 90.00, 90.00 degrees
Element x y z (fractional)
Be 0.0000 0.0000 0.0000
Cu 0.0000 0.5000 0.0000
Cu 0.0000 0.0000 0.5000
Cu 0.5000 0.0000 0.0000
In 0.5000 0.5000 0.5000

For the polymorph energy (0 for the lowest one), the calculation gives 0.000 eV/atom. Its crystal system is cubic. The calculation puts the calculated formation energy at 297.4 meV/atom. Its uncorrected energy is -3.453 eV/atom.
'''
## Here it is
1.
A relaxed Sm2Te2F crystal. Source: the Alexandria database, functional PBE.

Lattice parameters (Å, degrees): 17.7139 17.7139 17.7139 166.35 166.35 19.36
With the nearest neighbours (Å) after each atom.
Sites, in units of the cell vectors:
1 Sm 0.0899 0.3399 0.7500  2 F 2.44
2 Sm 0.3399 0.0899 0.2500  2 F 2.44
3 Sm 0.6601 0.9101 0.7500  2 F 2.44
4 Sm 0.9101 0.6601 0.2500  2 F 2.44
5 Te 0.1933 0.4433 0.7500  2 F 3.18, 4 Sm 3.20
6 Te 0.4433 0.1933 0.2500  2 F 3.18, 4 Sm 3.20
7 Te 0.5567 0.8067 0.7500  2 F 3.18, 4 Sm 3.20
8 Te 0.8067 0.5567 0.2500  2 F 3.18, 4 Sm 3.20
9 F 0.1250 0.8750 0.2500  4 Sm 2.44
10 F 0.8750 0.1250 0.7500  4 Sm 2.44

Values from the calculation:
For the total magnetization, the calculation gives 0.0 Bohr magnetons per cell. As for the space group: I4_1/amd (141).

=====

2.
A relaxed Sm2Te2F crystal. Source: the Alexandria database, functional PBE.

Lattice parameters (Å, degrees): 10.5712 10.5712 7.8331 96.48 96.48 24.21
With the nearest neighbours (Å) after each atom.
Sites, in units of the cell vectors:
1 Sm 0.1656 0.1656 0.4115  1 F 2.31
2 Sm 0.3243 0.3243 0.1246  1 F 2.52
3 Sm 0.6757 0.6757 0.8754  1 F 2.52
4 Sm 0.8344 0.8344 0.5885  1 F 2.31
5 Te 0.0879 0.0879 0.7129  3 Sm 3.00-3.05
6 Te 0.3978 0.3978 0.8070  3 Sm 3.01-3.06
7 Te 0.6022 0.6022 0.1930  3 Sm 3.01-3.06
8 Te 0.9121 0.9121 0.2871  3 Sm 3.00-3.05
9 F 0.2772 0.2772 0.4068  2 Sm 2.31-2.52
10 F 0.7228 0.7228 0.5932  2 Sm 2.31-2.52

Values from the calculation:
For the total magnetization, the calculation gives 2.1 Bohr magnetons per cell. As for the space group: C2/m (12).

=====

Most stable structure among those shown: 1.

~~~~~

Entry 1:
DFT (PBE) results for an optimized crystal structure of Be2InCu2.

Cell lengths 6.7848, 6.7848, 2.7801 Å; angles 90.00, 90.00, 90.00 degrees
Element x y z (fractional)
Be 0.1568 0.6568 0.5000
Be 0.6568 0.8432 0.5000
Be 0.8432 0.3432 0.5000
Be 0.3432 0.1568 0.5000
Cu 0.3681 0.8681 0.0000
Cu 0.8681 0.6319 0.0000
Cu 0.6319 0.1319 0.0000
Cu 0.1319 0.3681 0.0000
In 0.0000 0.0000 0.0000
In 0.5000 0.5000 0.0000

For the polymorph energy (0 for the lowest one), the calculation gives 0.049 eV/atom. Its crystal system is tetragonal. The calculation puts the calculated formation energy at 199.9 meV/atom. Its uncorrected energy is -3.477 eV/atom.



Entry 2:
DFT (PBE) results for an optimized crystal structure of Be3InCu.

Cell lengths 4.1448, 4.1448, 4.1448 Å; angles 90.00, 90.00, 90.00 degrees
Element x y z (fractional)
Be 0.0000 0.5000 0.0000
Be 0.0000 0.0000 0.5000
Be 0.5000 0.0000 0.0000
Cu 0.0000 0.0000 0.0000
In 0.5000 0.5000 0.5000

For the polymorph energy (0 for the lowest one), the calculation gives 0.000 eV/atom. Its crystal system is cubic. The calculation puts the calculated formation energy at 564.4 meV/atom. Its uncorrected energy is -3.038 eV/atom.



Entry 3:
DFT (PBE) results for an optimized crystal structure of Be4InCu8.

Cell lengths 4.5975, 6.1405, 6.1405 Å; angles 81.94, 68.02, 68.02 degrees
Element x y z (fractional)
Be 0.0000 0.0000 0.5000
Be 0.5000 0.0000 0.5000
Be 0.0000 0.5000 0.0000
Be 0.5000 0.5000 0.0000
In 0.0000 0.0000 0.0000
Cu 0.0000 0.3476 0.6524
Cu 0.0000 0.6524 0.3476
Cu 0.3476 0.6524 0.6524
Cu 0.6524 0.3476 0.3476
Cu 0.5000 0.7805 0.2195
Cu 0.5000 0.2195 0.7805
Cu 0.2805 0.2195 0.2195
Cu 0.7195 0.7805 0.7805

Its crystal system is tetragonal. The calculation puts the calculated formation energy at -36.3 meV/atom. Its uncorrected energy is -3.914 eV/atom.



Entry 4:
DFT (PBE) results for an optimized crystal structure of BeInCu3.

Cell lengths 4.1582, 4.1582, 4.1582 Å; angles 90.00, 90.00, 90.00 degrees
Element x y z (fractional)
Be 0.0000 0.0000 0.0000
Cu 0.0000 0.5000 0.0000
Cu 0.0000 0.0000 0.5000
Cu 0.5000 0.0000 0.0000
In 0.5000 0.5000 0.5000

For the polymorph energy (0 for the lowest one), the calculation gives 0.000 eV/atom. Its crystal system is cubic. The calculation puts the calculated formation energy at 297.4 meV/atom. Its uncorrected energy is -3.453 eV/atom.